Reviews 2014

Melvin Burgess: A Collection of All New Critical Essays by Contemporary Scholars

Melvin Burgess: A Collection of All New Critical Essays by Contemporary Scholars. Ed. Alison Waller. London: Palgrave Macmillan, 2013. 215 pages. £14.99 (paperback).

Attached: calculated molecules =
+++
Record 1
A structure of composition C37H53Br4GeN4O5Si3Sr, computed with ωB97M-V/def2-TZVPD.

The geometry in ORCA input format:
```
! RIJCOSX wB97M-V def2-TZVPD def2/J DEFGRID3
* xyz -2 2
Sr -0.16555 0.14469 0.01566
O 1.30990 0.81830 -2.16602
C 0.34380 0.50540 -3.08668
C -0.40038 1.52347 -3.64119
C -1.45346 1.24495 -4.52211
C -1.74687 -0.08464 -4.82167
C -1.02813 -1.11263 -4.24796
C 0.02883 -0.86866 -3.33069
C 0.63017 -1.91299 -2.60182
N 1.70194 -1.76342 -1.79780
C 1.98422 -2.86974 -0.91124
C 1.86764 -2.52272 0.57317
N 0.52642 -2.21987 1.01415
C 0.03294 -2.84648 2.00328
C -1.23595 -2.60784 2.67119
C -1.64134 -3.61110 3.56403
C -2.81144 -3.54520 4.28951
C -3.60656 -2.40105 4.13790
C -3.24025 -1.38214 3.29771
C -2.04115 -1.41772 2.51146
O -1.74980 -0.45060 1.74793
H -0.15701 2.54027 -3.35670
H -2.02496 2.05674 -4.95431
H -2.55470 -0.32452 -5.50597
H -1.29501 -2.14255 -4.46617
H 0.18272 -2.90738 -2.70319
H 3.01918 -3.21639 -1.05702
H 1.33147 -3.72671 -1.14035
H 2.45636 -1.61352 0.72391
H 2.31568 -3.31718 1.19311
H 0.60051 -3.68885 2.43675
H -0.99326 -4.47657 3.67753
H -3.09536 -4.33889 4.96865
H -4.52622 -2.30913 4.70854
H -3.84272 -0.48715 3.19707
Br 1.05531 4.26412 5.78166
C 0.43272 3.69204 4.08042
C -0.67476 4.26199 3.50275
Br -1.63246 5.64331 4.39569
C -1.09416 3.81657 2.23737
Br -2.62370 4.57093 1.39184
C -0.45355 2.81205 1.50387
O -0.85738 2.43929 0.34078
C 0.72958 2.18807 2.13041
O 1.37382 1.24536 1.53322
C 1.11070 2.67315 3.38501
Br 2.65291 1.83884 4.13313
C -2.74843 -3.27973 -0.76432
N -3.65817 -2.33767 -1.39187
C -5.06222 -2.67690 -1.39316
C -5.76763 -1.81713 -2.42304
C -5.58740 -0.35885 -2.04968
N -4.21562 -0.07230 -1.69508
C -3.86394 1.33491 -1.60636
C -3.27039 -1.01891 -1.43127
O -2.10705 -0.70366 -1.22059
H -2.92894 -3.35928 0.31371
H -1.72560 -2.94460 -0.91270
H -2.87749 -4.26127 -1.22619
H -5.50840 -2.53330 -0.39725
H -5.15416 -3.73751 -1.63837
H -6.82998 -2.06092 -2.47875
H -5.31992 -2.00745 -3.40118
H -6.24785 -0.09794 -1.21090
H -5.87257 0.28571 -2.88805
H -4.63804 1.85894 -1.04000
H -3.77980 1.77734 -2.60272
H -2.92279 1.46921 -1.08153
C 4.79633 -1.01164 0.83457
Si 4.59264 0.30336 -0.51061
C 6.25047 0.28581 -1.42732
C 4.36432 1.93438 0.38241
Ge 3.03435 0.11464 -2.32637
Si 3.50128 2.37873 -3.31572
C 5.27650 3.00941 -3.63250
C 2.71876 2.44509 -5.05374
C 2.69958 3.76356 -2.29938
Si 3.80189 -1.29549 -4.11146
C 5.36095 -0.60076 -4.93397
C 4.27076 -3.03499 -3.52865
C 2.56624 -1.51355 -5.52210
H 5.78955 -0.82502 1.25986
H 4.77394 -2.04133 0.47535
H 4.07155 -0.89196 1.64065
H 7.03529 0.58019 -0.72346
H 6.28506 0.97337 -2.27077
H 6.48628 -0.71858 -1.78806
H 5.04394 1.96959 1.23955
H 3.34553 2.01617 0.77011
H 4.57731 2.78997 -0.25933
H 5.86197 2.36182 -4.28860
H 5.83858 3.15039 -2.70686
H 5.19641 3.98756 -4.11959
H 3.21740 1.76741 -5.75063
H 2.82504 3.46221 -5.44864
H 1.65753 2.19288 -5.04910
H 3.39048 4.15227 -1.54873
H 1.80017 3.43678 -1.77709
H 2.43440 4.59461 -2.96205
H 6.20677 -0.50273 -4.25289
H 5.18945 0.37118 -5.39684
+++

This collection of essays on the works of Melvin Burgess provides a reasoned perspective on the overarching ideas that pervade his work. Acknowledging that Burgess’s contribution to young adult writing is controversial, this collection of essays also encourages a wide-ranging consideration of his overall career, his contributions to areas of academic discourse such as gender studies and ecocriticism, and his impact upon style and form in young adult writing. The collection is divided into four thematically intuitive parts: part one addressing controversy and the cultural context, part two dealing with form, style and genre, part three covering human and animal identities, and the final part comprising of an interview between editor Alison Waller and Burgess. The overall picture that emerges is that Burgess’s work examines the liminality of cultural, social and environmental practice and the collection throws new perspectives on his works.

- - -
Formula: C36H32GeIrN4O5S2SbSe4
Source: the OMol25 dataset
Level of theory: ωB97M-V/def2-TZVPD

```
! RIJCOSX wB97M-V def2-TZVPD def2/J DEFGRID3
* xyz -2 5
C -2.524 5.336 -3.912
H 1.945 1.525 -2.946
Se 7.991 8.792 4.337
C -1.539 4.570 -3.262
H -0.509 4.957 -3.272
H 1.486 4.154 0.363
C 1.340 -0.310 -3.986
H -1.640 -2.552 3.979
N 1.563 -0.465 1.696
C -0.084 0.994 -2.520
C 1.419 -3.653 3.317
H -1.775 -1.727 -3.663
C -4.136 -7.332 -0.456
H 4.504 4.602 1.840
H -2.037 0.236 -2.203
H -4.940 -5.892 -2.431
C -0.642 -2.435 3.755
C 2.993 4.976 -1.011
O 4.063 -0.950 1.213
H 3.591 5.519 -0.267
C -3.229 2.988 -2.563
C 3.817 2.624 1.373
H -7.000 -8.377 1.868
C -0.939 -0.531 2.260
Se 7.500 6.342 2.219
Sb 5.761 7.867 3.362
H 3.424 0.317 3.676
C 1.168 -1.634 2.210
Se -1.077 2.941 0.848
Se 6.300 8.936 1.033
C 0.221 -3.469 4.036
O -5.868 -8.571 3.883
H -3.507 2.060 -2.042
S 2.984 -0.024 1.153
C -1.931 3.457 -2.526
C 4.474 2.134 4.062
H 0.377 -2.034 -4.750
H 6.361 4.782 3.723
C 3.821 1.228 3.271
C 0.294 -1.160 -4.121
H -5.289 3.482 -3.223
S -4.572 -8.710 3.202
O -4.167 -10.095 3.081
C 1.500 3.767 -3.001
C 4.925 3.328 3.498
H 4.507 2.034 5.111
N -0.177 -1.620 2.591
C 1.111 0.825 -3.216
H 1.995 -4.602 3.499
H -3.334 -6.967 -1.085
Ge -0.544 2.576 -1.486
H -2.772 -7.738 1.095
N 1.936 -2.765 2.383
C -6.427 -7.742 -0.160
H 3.662 2.802 0.329
H -2.271 6.093 -4.597
C 1.095 3.579 -1.662
C -4.234 3.810 -3.144
Ir -0.038 0.844 1.275
H 2.970 4.458 -4.413
C -4.871 -8.254 1.551
C -3.887 4.951 -3.835
C -3.804 -7.836 0.760
H -5.022 -7.547 -3.075
H -7.467 -7.585 -0.536
C -5.384 -7.363 -1.008
C 2.688 4.372 -3.325
O 2.546 0.454 -0.167
H 5.549 4.393 5.195
C 3.405 4.998 -2.324
H -1.913 -0.799 2.497
C 4.475 3.579 2.191
O -3.539 -7.788 3.636
H 0.796 3.377 -3.716
C 1.847 4.227 -0.694
H -4.720 5.508 -4.370
H 2.364 -0.411 -4.323
C -5.511 -6.793 -2.412
H -6.557 -6.681 -2.693
H -0.087 -4.468 4.373
C 3.494 1.456 1.965
C -1.111 0.067 -2.675
H 4.276 5.574 -2.495
C -0.929 -1.043 -3.466
N 5.642 4.257 4.191
C -6.177 -8.227 1.133
*
```

Energy (eV): -402994.8225
LUMO level (spin up / spin down) (eV): 2.10 / 1.49
ΔE to the lowest compared entry with this formula, charge and spin (eV): 1.749
Highest occupied orbital energy (spin up / spin down) (eV): -3.434 / -3.430
Gap between HOMO and LUMO (spin up / spin down) (Ha): 0.203 / 0.181

=====

Formula: C44H66BBrF7NO29P
Source: the OMol25 dataset
Level of theory: ωB97M-V/def2-TZVPD

```
! RIJCOSX wB97M-V def2-TZVPD def2/J DEFGRID3
* xyz -1 1
O 3.587 0.138 0.979
H 6.841 -0.229 -2.629
H -5.139 -8.240 3.381
O 0.623 -4.825 2.254
C -3.971 0.144 5.498
Br 2.883 -3.538 -0.187
H -1.152 -1.372 0.503
C 0.376 3.890 -0.053
O -1.326 -4.341 3.242
O -7.364 -5.584 4.334
O -4.308 -0.011 6.803
H 4.698 2.930 -2.874
H -4.810 -1.997 7.095
H 2.310 0.117 -2.825
N 6.323 3.575 -1.661
H 4.245 0.884 -3.273
F 2.615 2.536 -11.503
H -3.630 -4.551 4.345
F 0.834 -8.204 2.883
F -7.370 3.176 3.485
C 6.176 0.600 -2.362
O 0.258 4.897 -10.668
C -6.305 -5.262 3.908
H 1.464 1.545 1.065
- - -
## So much for the quantum chemistry results

Chris Richards’s opening essay frames the debates around Burgess’s work. Positioning these within the context of Rose’s seminal "impossibility of children’s literature" discussion, the chapter provides a frame of reference for the rest of the collection. Opening with consideration of Doing It (2003) and Anne Fine’s 2003 Guardian review, Richards presents a critique of the extent to which Burgess’s own identification of himself as a "writer for children and teenagers" (24) holds up under close examination of the focalizing elements of the novel. Michele Gill picks up on these notions, particularly those surrounding the capacity of Burgess’s characters to be read in a more nuanced fashion than much of the debate about them allows. Her essay brings into question the ambiguities surrounding the construction of gender roles in both male and female characters. Gill teases apart the representation of masculinity in Doing It and Kill All Enemies (2011), positioning both novels within the continuum of debates surrounding notions of sexual identity in young adult fiction. In chapter three, Joel Gwynne examines the broader positioning of YA fiction within the development of postfeminist discourse before turning his attention to questions of empowerment in the construction of Burgess’s female characters. He positions his examination of Burgess’s works in the context of the degree to which they reflect contemporary concerns and address the liminal positioning of female characters in relation to the dominant discursive paradigms surrounding sex and sexuality.

### Someone pasted data records at this point
~~~
DFT (ωB97M-V/def2-TZVPD) results for a structure of composition C4H12NPdS3Sb in a non-equilibrium geometry.

XYZ file:
```
22
Properties=species:S:1:pos:R:3:forces:R:3
Pd 1.2520 -0.4110 0.5817 -1.27 0.13 -0.83
S 4.2995 -3.2221 2.9018 0.26 0.23 0.03
Sb 3.5159 -1.3046 1.8854 -0.41 -1.20 0.19
S 2.6961 -2.0552 -0.3089 0.42 0.25 0.54
S 1.3507 -0.8683 2.9340 0.76 0.15 -0.12
N 2.1349 1.9005 0.7915 -0.10 0.25 0.08
H 2.0456 1.9240 1.8010 0.01 0.00 0.06
H 1.6754 2.7122 0.3990 0.01 0.03 0.00
H 3.1169 1.9314 0.5538 0.06 0.00 -0.03
C -2.9440 -0.3890 -1.1248 0.07 -0.09 -0.07
C -1.4134 -0.2903 -1.1361 0.01 0.10 0.14
C -1.0047 1.1843 -1.2358 -0.04 -0.21 -0.01
C -0.8157 -0.9773 0.0901 0.14 0.24 -0.10
H -3.3789 0.0266 -2.0398 -0.03 0.00 0.01
H -3.3483 0.1632 -0.2723 -0.01 -0.01 0.01
H -3.2613 -1.4296 -1.0337 -0.04 0.02 0.00
H -1.0561 -0.8052 -2.0342 0.08 0.02 0.00
H -1.3310 1.7191 -0.3385 0.03 0.02 0.01
H -1.4506 1.6748 -2.1076 0.00 -0.03 0.03
H 0.0809 1.2618 -1.3038 0.03 0.10 -0.02
H -0.8206 -2.0617 -0.0057 0.01 -0.01 0.04
H -1.3435 -0.6837 1.0029 0.01 0.01 0.02
```
Forces are in eV/Å.

The calculation puts the relative energy (zero: lowest compared OMol25 entry of this formula, charge and spin) at 66.5 kJ/mol. The value obtained for the energy is -1777.08527 a.u. The HOMO-LUMO gap (alpha / beta) is 6.58 / 5.15 eV. The spin multiplicity is 4. As for the max |F|: 0.030 hartree/bohr. The net charge is -1. The value obtained for the HOMO energy (alpha / beta) is -3.496 / -3.954 eV.

***

DFT (ωB97M-V/def2-TZVPD) results for a cluster of 3 separate species, C4H12NS2 in total in a non-equilibrium geometry.

XYZ file:
```
19
Properties=species:S:1:pos:R:3:forces:R:3
C -0.5793 0.3002 1.4742 -3.07 0.11 -1.60
C -1.2721 -1.1294 -0.9042 -4.50 0.22 1.24
C 0.5520 -0.4288 0.9700 2.80 2.73 -1.61
C -0.3455 -1.7627 -1.5282 2.67 -1.08 -0.77
N 1.8597 1.8330 2.7688 -0.47 -3.02 0.73
S 1.7843 0.5292 0.2877 0.23 -4.37 0.29
S 0.7100 -0.5964 -2.4170 -0.09 -1.70 -0.42
H -1.4718 -0.2880 1.1114 0.65 0.96 0.76
H -0.6787 0.2754 2.5102 0.07 -0.14 2.06
H -0.7135 1.3633 1.1275 0.41 -1.20 0.23
H -1.4012 -0.1236 -1.2151 -0.41 1.08 0.23
H -2.1839 -1.5688 -0.3612 1.86 0.34 -0.61
H 0.7631 -1.4781 1.0793 -0.14 -0.16 0.06
H -0.1911 -2.8319 -1.3003 0.47 0.58 -0.87
H 1.9552 2.7425 2.4698 -0.11 2.47 -0.17
H 2.4192 1.6046 3.5630 0.68 0.28 0.34
H 0.9274 1.5099 3.0144 0.16 0.90 -0.19
H 1.2999 1.6857 0.4805 -1.24 1.85 0.23
H 1.3023 -1.4732 -3.2502 0.03 0.16 0.08
```
Forces are in eV/Å.

The calculation puts the relative energy (zero: lowest compared OMol25 entry of this formula, charge and spin) at 384.8 kJ/mol. The value obtained for the energy is -1010.34893 a.u. The HOMO-LUMO gap is 7.31 eV. As for the max |F|: 0.091 hartree/bohr. The net charge is +1. The value obtained for the HOMO energy is -12.737 eV.

***

DFT (ωB97M-V/def2-TZVPD) results for a cluster of 2 separate species, C4H12NSe in total in a non-equilibrium geometry.

XYZ file:
```
18
Properties=species:S:1:pos:R:3:forces:R:3
~~~

Part two shifts from questions of cultural context to those of form, style and genre. Kay Sambell firstly outlines the intertextual context within which Sara’s Face (2006) is situated and extends the metaphorical idea of the novel as "game" to consider the degree to which Burgess plays with notions of structure and voice. She concludes with a fascinating examination of the metafictive nexus between the structural devices in Sara’s Face and the way in which Burgess has constructed his own public identity within the "game" of new journalism. Following this, Robyn McCallum and John Stephens examine the two-part Volson Saga with specific attention to the interrelationship between the narrative strategies employed by Burgess and the evocation of a position of ethical subjectivity in the reader. Their analysis of both Bloodtide (1999) and Blood Song (2005) is particularly interesting when read in conjunction with the ideas presented in the previous essay. Mel Gibson concludes this section by positioning Burgess’s picture book The Birdman (2000) within the continuum of post-modern picture books, drawing intertextual links between works by writers like Jon Scieszka. Gibson explores the extent to which The Birdman speaks to Burgess’s novel Lady: My Life As a Bitch (2001) in its treatment of its protagonist.

Part three of the collection, which examines human and animal identities, opens with Peter Hollindale’s convincing argument that there is an under-regarded thematic sequence to Burgess’s four novels featuring animal protagonists. He suggests that this idea can comfortably serve as a vehicle for a broader consideration of Burgess’s approach to conservationism. Hollindale’s examination of the degree to which Burgess’s animal writings subvert and challenge ideas of human exceptionalism, and his approach to traditional anthropocentric treatments of animals as characters are equally convincing. In the following chapter, Pat Pinsent explores Burgess’s earlier works with a view to both drawing out thematic links between them and illustrating their complexity. The first half of the chapter, which considers the parallels between the relationships in An Angel for May (1992) and The Ghost Behind the Wall (2000), is especially engaging. The chapter then examines Loving April (1995), before drawing out common threads of symbolism and isolation between all three works. Finally, Karen Williams’s contribution brings into play some of the ideas of ecocriticism that have been lurking in the background of many of the preceding essays. This chapter examines two of Burgess more speculative works not just through an ecocritical lens, but also by considering them against the development of ecocriticism as an academic discipline. She considers the degree to which Burgess, in his willingness to question and unravel the binary discourses often imposed upon ecocritical discussions, both anticipated and addressed many of the contemporary discussions currently underway in this field. It is an engaging discussion in its own right but also serves the function of effectively bringing together the multiple strands of this collection. The ongoing influence of Burgess upon broader cultural and academic discourse is evident in the common threads that have emerged through the collection to this point: Burgess as the unraveller of binaries, Burgess as the challenger of stylistic conventions, Burgess as the examiner of social privilege, and Burgess as the interrogator of power. The final section, an interview between Waller and Burgess, is engaging as a contribution to Burgess’s public examination of his practice.

Melvin Burgess: A Collection of All New Critical Essays by Contemporary Scholars presents a cohesive view of Burgess’s career and makes an important contribution by putting aside the tabloid responses to his writings, and instead considering them through the lens of careful academic discourse.

Anthony Eaton
The University of Canberra, Australia

Works Cited

Fine, Anne. "Filth, which ever way you look at it." The Guardian. 29 Mar. 2003. Web. 14 Nov. 2012.

Richards, Chris. "One of the Boys? Writing Sex for Teenagers in Doing It." Melvin Burgess: A Collection of All New Critical Essays by Contemporary Scholars. Ed. Alice Waller. London: Palgrave McMillan, 2013. 23-40.